Let's talk about the courses

Steve, By putting the course schedules in the library I mean the scheme of work, i.e. the Excel spreadsheet I e-mailed to Mark outlining the content of each lesson and giving the number of each article in the library that I was planning to use.

Unrelated to this page: calculated molecules:
********
1.
Density functional theory data (ωB97M-V with the def2-TZVPD basis set) for a 2-piece molecular cluster, C4H13NO overall at a distorted geometry.

XYZ file:
```
19
Properties=species:S:1:pos:R:3:mulliken_charge:R:1
C 2.1338 -1.4594 0.8655 -1.239
C 2.6124 -2.2618 -0.3047 -0.054
C 3.0009 -1.4324 -1.5433 -1.184
H 2.6953 -0.5858 1.0277 0.358
H 2.1483 -2.0394 1.7056 0.376
H 1.1092 -1.1617 0.8002 0.313
H 1.9185 -3.0297 -0.6027 0.265
H 3.5752 -2.9396 -0.0171 0.196
H 3.4625 -0.4729 -1.1803 0.269
H 3.7267 -1.8163 -2.1742 0.371
H 2.2182 -1.0743 -2.1470 0.328
N -2.5727 2.5406 0.7387 -0.469
C -3.8487 1.8245 0.7442 -0.159
O -4.8382 2.4811 -0.1098 -0.542
H -1.9656 2.3861 -0.0025 0.203
H -2.6872 3.4927 1.0390 0.222
H -3.7866 0.7478 0.4097 0.265
H -4.4191 2.0677 1.7415 0.200
H -4.4830 2.7328 -0.9904 0.281
```

The SMILES is CCC.NCO. For the HOMO energy, the calculation gives -9.54 eV. The calculation puts the relative energy (zero: lowest compared OMol25 entry of this formula, charge and spin) at 149.9 kJ/mol. For the LUMO energy, the calculation gives 0.84 eV. The value obtained for the HOMO-LUMO gap is 10.38 eV.

=====

2.
Density functional theory data (ωB97M-V with the def2-TZVPD basis set) for a 2-piece molecular cluster, C4H13NO overall at a distorted geometry.

XYZ file:
```
19
Properties=species:S:1:pos:R:3:mulliken_charge:R:1
C -0.5658 0.5501 1.9865 -0.897
C -0.0401 1.7850 1.2551 -0.232
C 1.2466 1.4987 0.4814 -0.839
H -0.4531 -0.3692 1.4105 0.026
H -1.6307 0.6327 2.2261 0.319
H -0.0924 0.3898 2.9542 0.360
H 0.1356 2.5483 2.0149 0.288
H -0.8002 2.1105 0.5464 0.258
H 0.9551 0.9562 -0.4091 0.031
H 1.7666 2.4195 0.1905 0.344
H 2.0363 1.0339 1.0748 0.339
N -1.0016 -1.9260 -0.9522 -0.514
C -0.2980 -2.0189 -2.2016 -0.299
O 0.4752 -0.8645 -2.5233 -0.532
H -0.4504 -1.9182 -0.1066 0.239
H -1.7154 -1.2083 -0.9362 0.251
H 0.3524 -2.8884 -2.1761 0.316
H -1.0424 -2.0458 -2.9860 0.280
H 1.1224 -0.6856 -1.8492 0.263
```

The SMILES is CCC.NCO. For the HOMO energy, the calculation gives -9.59 eV. The calculation puts the relative energy (zero: lowest compared OMol25 entry of this formula, charge and spin) at 62.1 kJ/mol. For the LUMO energy, the calculation gives 0.98 eV. The value obtained for the HOMO-LUMO gap is 10.57 eV.

=====

3.
Density functional theory data (ωB97M-V with the def2-TZVPD basis set) for a 2-piece molecular cluster, C4H13NO overall at a distorted geometry.

XYZ file:
```
19
Properties=species:S:1:pos:R:3:mulliken_charge:R:1
C -0.0759 0.7170 1.8283 -1.347
C -0.0747 -0.5668 1.0949 -0.185
N -0.0762 -0.3626 -0.3306 0.204
C -0.2801 -1.6806 -1.0486 -1.031
C -1.0063 0.7022 -0.8378 -1.131
H 0.8145 1.4472 1.6173 0.227
H -0.9220 1.3723 1.6868 0.380
H 0.0020 0.4414 2.8127 0.450
H -1.0273 -1.0844 1.3625 0.242
H 0.8487 -1.2182 1.3000 0.283
H -1.3200 -2.0624 -1.0157 0.348
H 0.4526 -2.4929 -0.7085 0.289
H -0.0450 -1.4825 -2.1128 0.320
H -2.0080 0.2434 -0.8254 0.339
H -1.0357 1.7213 -0.3407 0.315
H -0.6355 0.8966 -1.8529 0.348
O 2.5178 1.1514 -0.7838 -0.656
********

It wasn’t obvious to me (and so I don’t expect it to be obvious to the students) what the article number is or what you do with it, so putting a copy of each article in the same collection as the scheme of work, or a hyperlink to it, makes a lot of sense.

Annett, Anapaula, as you say, with beginner courses the material has to be assessed fairly carefully to make sure that the learning curve stays reasonably constant. The obvious (but perhaps tedious) way to do this would be to create a brand-new account, then one by one add the articles to the workdesk and mark them as read, keeping a note of the number of new words introduced in each article. We would be aiming for, what, 150 new words a week? Fewer? More? Definitely in the early days of “Who is She?” it would be several episodes each week, or else 3, 4 or 5 episodes could be amalgamated to form a week’s worth of study.

I agree Steve, intermediates are capable of understanding authentic texts and there is no reason that they should not use them, if the level is reasonable.

With intermediate texts it gets harder to assess complexity, because you can no longer make assumptions about which words intermediate students have already encountered. I seem to remember posting on the forum 4 months or so ago about this, ah yes, it’s here:

I’ve been taking texts from the library and running them through this tool:

…which gives me an idea of how complex they are, but it’s a slow process and not really definitive unless we all agree on a yardstick for text complexity for each language.

I thought I might re-start my advanced course running each month. I’m still thinking about what to offer intermediates. As I said somewhere up the page I think it’s appropriate for many tutors to offer different intermediate courses.

I’m sorry to have gone on so long about this, I hope it’s not been too boring to read!

I think there may be a (temporary) difficulty with creating a new account to assess complexity, as the courses page doesn’t show new words at the moment. It is already on the soon to be fixed list, isn’t it?


I don’t really see putting the course outline in the Library. The Library is supposed to contain lessons and each lesson is required to have audio and text. A course outline is a good idea but perhaps we should create a separate page where this is displayed linked to from the course description. That way we could allow non participants to see what is in the course.

On the other hand, part of what the learner is paying for in a directed course is the effort and knowledge that the tutor has put in to selecting appropriate lessons for that level of course. Once we give that away for free that removes some of the incentive to sign up for a course.

Regarding the lesson numbers, these are never shown to the learners. They are only used by the tutors and staff to identify the correct lessons when creating courses. Showing the numbers in the course outline will only confuse people.

Finally, we are trying to figure out a way to have rolling group courses so that the course will stay visible in the list but the session start date moves to the following week after this weeks session has passed. We are thinking of not linking the conversation to the lesson but rather to the course topic itself. That way students who are on different lessons will be able to participate in the same conversations on the same general theme. That way we will be more likely to have full conversations, especially initially. This will also make the maintenance of group courses much more convenient for all.

Annett, Anapaula,

I have tried Spanish as a complete beginner and I don’t see why it should be that difficult. I think perhaps it’s a matter of reducing expectations and of having a different approach as a beginner. You can’t expect to make your way through as much content when you are a beginner. I think one part a week of Who is She in a beginner course is fine. There is no need to combine parts together. A beginner needs short lessons that he/she repeats many, many times. Their tutor should also direct them to other collections in the library which they can work on if they like.

Steve spent I don’t know how long just listening to Who is She in Russian. (I’ll let him expand on that) It is the tutor’s job in a beginner course to help the learner understand what to do and to believe!

Annett, yes the courses have to be 12 lessons. Single conversations are already available in the Speak section. A big reason for having courses is to solicit a commitment from the learner.

OK, so the library isn’t the best place for a course outline, and maybe you don’t want all students to see them…but I do think we could do with them in a shared place so that the other tutors can see them. You might want, for instance, to have two or three tutors teaching the same course at different times.

I got through Who is She? in a fortnight…but I wasn’t a total beginner. Would you start with that or something even simpler?

Well, Mark, maybe I’m not that smart, because my first month of French was really uncomfortable!
I disagree about one item a week being enough, mainly because in the beginning the student tend to be motivated to spend more time with the language. I can’t imagine anyone willing to spend an entire week repeating an audio with less than one minute!!! I don’t think I have this motivation power to convince them to do such a boring thing…
In my opinion, three to five items of similar difficulty would be ideal. Maybe someone out there is willing to take some books for beginners and use their texts as models for creating groups of small texts centered at specific topics… just another idea…


Ha ha! I agree that it might be tough to convince people to listen to part 1 of Who is she over and over for a week. But, to have that part as their main focus which they can supplement with one or two other lessons from the Library should be enough. How much can you cover as a complete beginner?


We could put course plans up in Google Documents where others could see them. In fact, I will share my current Who is She file now. You can edit and/or copy the file and create your own version of it. I will share it with everyone.

I think Who is She is a good place to start. Greetings and Goodbyes, Eating Out are also good. There is also various other content in the different languages that is good beginner material.

Aha! My course plan is already in Google documents…I just don’t know how to share it.

Just click the Share tab once the doc is opened and enter the tutors@ email address. Then, we’ll all see it.

Mark and Mike and I are meeting in an hour or so and we will discuss all of this great input and then I will comment further.

Thanks for the great input from all of you.

I will send out an email to all of our tutors but first would like to get some more feedback here.

  1. Try to use collections:
    I think it is best to choose all the content items for a course from within one collection whenever possible. This makes it easier to describe what the course is and allows the learner to explore the course.

Tutors can also add more content in certain collections to bring them up to “course level”. Tutors can also describe the nature of their course and the services they provide in their introduction.

  1. Longer courses as mentioned by Helen:

It is a little early to tie these 3 month courses together to form longer courses of study leading to a diploma etc. However, in the future we will do this, and we will introduce exams to get wit the certificates. However, we are at the early stages of the courses development so let’s not get ahead of ourselves. Let’s stay with 3 months.

  1. One month courses:

We could theoretically offer one month courses, but really any tutor can set up a series of 4 weekly discussions around items in a collection and run it for however many weeks they want, 4 or 8 or 12. I think there is benefit in staying with the 12 week format for now. It is one less variable to deal with. 3 months is a good period of commitment.

Attached: data records:
<<<
{"formula": "C37H38FNO4PdSb", "method": "wB97M-V/def2-TZVPD", "elements": ["Sb", "Pd", "F", "O", "O", "O", "O", "N", "C", "C", "C", "C", "C", "C", "C", "C", "C", "C", "C", "C", "C", "C", "C", "C", "C", "C", "C", "C", "C", "C", "C", "C", "C", "C", "C", "C", "C", "C", "C", "C", "C", "C", "C", "C", "C", "H", "H", "H", "H", "H", "H", "H", "H", "H", "H", "H", "H", "H", "H", "H", "H", "H", "H", "H", "H", "H", "H", "H", "H", "H", "H", "H", "H", "H", "H", "H", "H", "H", "H", "H", "H", "H", "H"], "coordinates": [[1.5321, -1.0283, -0.5312], [0.8571, 1.5634, 0.0097], [-4.5210, 3.1140, -4.0194], [-1.0084, 2.1306, -0.6815], [-1.1911, 0.5537, 3.2445], [0.2047, 1.4066, 1.7833], [2.8312, 1.7689, 0.9393], [-4.5390, 1.0800, 1.0720], [-5.8159, 0.8117, 1.7923], [2.6624, 0.8322, -2.7170], [0.6640, -5.5300, -2.2812], [1.7059, -1.1982, 2.4029], [-6.8500, 0.3125, 0.7972], [3.0924, 3.0776, 1.5186], [5.0137, -1.5207, 0.5088], [2.1455, -1.2295, 3.7186], [4.7671, -0.8108, -3.5444], [-3.3949, 0.9180, 1.7165], [-3.3338, 1.9663, -0.8157], [-5.7661, 1.7474, -0.9259], [1.5034, -3.3053, -2.5664], [1.1308, -2.9841, -1.2602], [2.8792, -0.3931, -2.0711], [-7.0734, 1.3456, -0.2961], [-6.2460, 2.0565, 2.5559], [-4.5035, 2.6208, -2.7748], [4.3901, -1.4329, 2.9080], [-0.0315, -3.6380, 0.9228], [3.9156, -1.2091, -2.5257], [-3.3169, 2.4847, -2.1182], [1.2726, -4.5746, -3.0775], [-1.0072, 1.0205, 2.1378], [0.2595, -5.2012, -0.9979], [4.5779, 0.4227, -4.1440], [2.5855, -1.2955, 1.3236], [-5.7203, 2.2554, -2.2023], [1.4888, 1.7421, -2.4225], [3.4996, -1.3480, 3.9694], [3.5265, 1.2273, -3.7351], [-2.0786, 1.7852, -0.0945], [0.4686, -3.9312, -0.4671], [-2.1521, 1.2373, 1.2034], [4.3284, 3.0315, 2.3810], [3.9663, -1.4091, 1.5805], [-4.5492, 1.6062, -0.2254], [-0.2429, -5.9444, -0.3891], [-5.5191, 2.3097, 3.3283], [1.6053, 2.3051, -1.4435], [-0.4026, -2.6146, 1.0161], [1.4293, -1.1344, 4.5242], [-6.5059, -0.6274, 0.3597], [-6.6290, 2.3718, -2.7806], [-7.7409, 0.9597, -1.0655], [5.4515, -1.5228, 3.1093], [4.5258, 4.0206, 2.7967], [3.3612, 2.1778, -4.2291], [3.8692, -1.3648, 4.9871], [5.2333, 0.7516, -4.9407], [0.5306, 1.2387, -2.5126], [3.2195, 3.7420, 0.6665], [-7.2082, 1.8835, 3.0394], [4.9329, -0.7186, -0.2214], [5.5724, -1.4597, -3.8642], [6.0107, -1.4737, 0.9454], [0.4871, -6.5274, -2.6632], [-7.7763, 0.1043, 1.3319], [1.9642, -2.5658, -3.2048], [-5.5812, 0.0142, 2.4963], [-2.3827, 2.7703, -2.5786], [1.4627, 2.6027, -3.0884], [-3.4504, 0.5211, 2.7231], [2.8084, 1.1120, 1.6542], [-6.3427, 2.9171, 1.8926], [5.1999, 2.7170, 1.8064], [1.5655, -4.8100, -4.0925], [0.6445, -1.0692, 2.2365], [-7.5617, 2.2305, 0.1197], [2.2125, 3.3913, 2.0816], [4.9320, -2.4724, -0.0209], [-0.8576, -4.3012, 1.1768], [4.1943, 2.3406, 3.2167], [4.0703, -2.1818, -2.0795], [0.7481, -3.7727, 1.6751]], "forces_ev_per_a": [[-0.0951, -0.5556, -0.1240], [-0.9635, 1.2891, -0.3295], [0.0243, -0.0135, 0.0203], [0.2291, -0.1609, -0.0383], [-0.0789, 0.0733, -0.2487], [-0.1163, -0.1672, 0.6591], [-0.1480, 0.0114, -0.0976], [-0.0937, 0.1064, -0.1623], [0.1222, -0.0109, -0.0310], [-0.0308, 0.1410, -0.0331], [-0.0096, -0.0406, -0.0123], [-0.0096, 0.0628, 0.0596], [0.0012, -0.0065, -0.0154], [-0.0167, -0.0582, -0.0008], [-0.0195, -0.0041, -0.0011], [-0.0482, 0.0301, -0.0253], [-0.0260, 0.0067, 0.0230], [0.0443, 0.0235, 0.0009], [0.1091, -0.0197, 0.0158], [0.0473, 0.0204, 0.0186], [-0.1477, -0.1229, 0.0789], [0.1495, -0.2060, -0.0297], [0.0943, -0.0820, -0.1239], [0.0049, 0.0192, -0.0224], [0.0198, 0.0488, 0.0052], [-0.0771, 0.0323, -0.0780], [-0.0096, 0.0020, 0.0348], [0.0119, 0.0087, -0.0080], [0.0716, 0.0489, 0.0218], [0.0677, 0.0272, 0.0636], [-0.0056, 0.0474, -0.0117], [0.3321, 0.0862, 0.1885], [-0.0649, -0.0296, 0.0126], [-0.0106, 0.0488, -0.0389], [0.3876, -0.0355, -0.0187], [-0.0277, 0.0085, -0.0125], [0.2225, -0.4109, 0.1614], [0.0803, 0.0125, 0.0299], [0.0368, 0.0356, -0.0779], [0.0499, 0.0526, 0.0366], [0.0205, 0.0019, -0.0558], [-0.1757, -0.1063, -0.0924], [0.0511, -0.0242, 0.0634], [-0.0798, -0.0762, 0.0772], [-0.1236, -0.1633, 0.3091], [0.0084, 0.0066, -0.0106], [-0.0008, -0.0108, -0.0200], [0.2374, 0.1547, -0.1275], [0.0036, 0.0073, -0.0426], [0.0091, -0.0218, -0.0072], [0.0020, -0.0001, 0.0004], [0.0285, 0.0032, 0.0029], [-0.0037, -0.0255, -0.0014], [-0.0212, 0.0080, 0.0085], [-0.0089, -0.0233, -0.0143], [0.0076, -0.0078, 0.0023], [0.0016, -0.0068, -0.0199], [-0.0214, 0.0034, 0.0311], [-0.0572, 0.0131, 0.0462], [0.0077, 0.0124, -0.0311], [0.0223, -0.0070, -0.0108], [-0.0191, 0.0265, -0.0290], [-0.0233, -0.0002, 0.0071], [-0.0229, -0.0228, 0.0022], [0.0028, 0.0179, 0.0073], [-0.0031, 0.0035, -0.0100], [0.0264, 0.0091, 0.0010], [-0.0200, -0.0204, 0.0178], [-0.0160, -0.0115, -0.0027], [0.0468, 0.0378, -0.0381], [0.0225, -0.0027, -0.0083], [0.0563, -0.1072, 0.0425], [-0.0100, -0.0147, 0.0159], [-0.0336, 0.0123, -0.0156], [-0.0002, 0.0036, 0.0091], [0.0115, -0.0051, -0.0161], [-0.0130, 0.0068, -0.0143], [-0.0032, -0.0086, 0.0394], [-0.0279, 0.0258, -0.0097], [0.0251, -0.0297, 0.0017], [-0.0126, 0.0083, -0.0096], [-0.0191, -0.0048, 0.0395], [0.0175, 0.0191, -0.0266]], "mulliken_charge": [1.815, 0.725, -0.343, -1.384, -0.674, -0.598, -0.167, 0.136, -0.245, 0.721, -0.698, -0.203, -1.081, -0.245, -1.181, -1.334, -0.970, -0.447, 0.675, 0.996, -0.755, 0.478, 0.112, -1.149, -1.356, -0.054, -1.090, -1.365, -0.170, -1.089, -0.857, 0.154, -0.578, -0.850, 0.259, -0.665, -1.436, -0.767, -0.845, 2.391, 0.590, -0.592, -1.240, 1.593, -0.409, 0.428, 0.390, 0.542, 0.012, 0.512, 0.358, 0.543, 0.492, 0.400, 0.411, 0.374, 0.413, 0.425, 0.291, 0.377, 0.385, 0.195, 0.460, 0.483, 0.383, 0.433, 0.527, 0.498, 0.623, 0.555, 0.601, 0.022, 0.386, 0.276, 0.452, 0.213, 0.368, 0.237, 0.229, 0.521, 0.350, 0.731, 0.294], "e_homo_ev": [-10.23, -10.21], "fmax_ev_per_a": 1.643, "e_above_lowest_kj_mol": 84.2, "charge": 1, "gap_ev": [6.29, 6.38]}
>>>

  1. Beginner courses:

Who is She or Eating Out offer one solution and can be offered as a course. A person taking this course may or may not be starting from scratch, and may or may not be also using another starter book. We just offer a resource for learners who are still at the very early stage of learning a language.

Some of our contributors have created or imported and shared other beginner material that can be used to create a course. It is up to the tutor to choose whatever she feels most comfortable using.

I agree that one 30 second content item is too short. Rather than merging items and thereby creating more items in the library, I think it is enough for the tutor to choose every second item in Who is She, for example, and make it clear that it is expected that the learner will do this collection two at a time. Learners can also add other content to study on their own.

  1. Lack of flexibility in booking courses:

We are looking at ways of creating the ability to join a course later if the courses are simply revolving courses, lesson 1-12, and then 1 starts up again. To make this work we would simply disconnect the discussion from any specific item in the course. Again this works best if we stay with one collection.

  1. Items in more than one collection:

That is not possible now. It will be possible when we reorganize the Library, sometime in the future.

  1. Evaluating the difficulty level of items:

I hope the New Word count is back soon, but in the meantime we should be able to discuss with each other what we think of the difficulty level of different items. Sharing our working documents on google documents is a great way to go.

After we have a little more back and forth here, I will send out an email to all tutors on this. This tutors forum is sort of our steering committee. We are at the beginning of the courses stage. We have a lot to learn, but I feel we are headed in the right direction.

I agree with almost everything, but item 5. I think that the connection between the discussion and specific items is very beneficial. It gives us a focus to our study. I think that people should be allowed to engage latter in a course, but she should start by the current item, and when everyone has finished, this person could go back and study the items she has lost in the beginning and schedule one-on-ones to cover them. Or, to give more flexibility, the person should be granted the points corresponding to the missing events, so it would be possible to her to schedule extra events anytime.


I appreciate your comment on item 5. Maybe we just have to wait until we have enough people signing up for courses. Disconnecting the discussion does make it easier for people to join in with others regardless of when they start. On the other hand the disadvantage is that you lose some sense of concentration. We are not going to anything soon.

Bear in mind that in a one on one that sense of concentration is maintained. We may have to sacrifice this for the group courses, but let’s wait and see.

One thing that I am now going to do is to email my tutor a tagged list of my problem words to my tutor for discussion, and drill. I have sent Tana a list of words and phrase of motion, which causes trouble in Russian.

I could foresee a situation where a tutor may ask students to forward their list of saved words and phrases from a specific content item. The tutor could then focus on these words and phrases in the discussion, whether in drill form or in general discussion. This way if all the lists came from the same item, there would be a lot of reinforcement. Learners could even record these sessions for further reinforcement.

We hope that within a week or so we will set up a user friendly way for tutors to create courses and we will learn as we go.

In my opinion intermediate and advanced courses certainly ought to work with a rolling course structure, because you are building on a vocabulary and grammar foundation. I think it might be harder for a beginner 1 course, certainly group discussions are likely to be off-putting to a newcomer if everyone else knows 10 times their vocabulary because they’ve already done 10 sessions!

That is true for beginners but we don’t really think beginners should have group discussions anyway. 1 on 1’s, preferably with a tutor who speaks their own language will probably be all most beginners can handle.